Update #3:
# Quantum chemistry results, kept here for reference
~~~
DFT (ωB97M-V/def2-TZVPD) results for a structure of composition C39H50F6N6O8S5TeW.

Cartesian coordinates (Å):
W (-0.800, -0.595, 0.134)
Te (2.761, 3.745, -2.210)
S (1.315, 2.980, 2.379)
S (3.467, -0.096, -0.158)
S (-6.962, 0.068, 2.171)
S (1.125, -3.218, 3.681)
S (4.869, 2.286, -0.355)
F (6.780, 0.534, 0.018)
F (6.598, 1.177, -2.041)
F (3.826, -0.790, 2.359)
F (7.453, 2.505, -0.568)
F (3.231, -2.390, 1.023)
F (5.258, -1.630, 0.976)
O (2.025, -0.074, -0.099)
O (4.081, -0.522, -1.377)
O (-3.829, -4.266, 3.370)
O (-5.812, 0.218, 1.295)
O (5.065, 3.490, 0.370)
O (4.330, 2.469, -1.767)
O (-8.052, -0.764, 1.760)
O (-4.764, -2.914, 4.778)
N (-4.147, -3.165, 3.761)
N (0.228, -1.739, 1.818)
N (-3.893, -0.722, 3.238)
N (-2.420, -0.868, 1.601)
N (0.082, 0.982, 1.419)
N (4.047, 1.251, 0.451)
C (2.246, 6.565, -0.589)
C (3.888, 5.503, -2.265)
C (6.560, 1.561, -0.784)
C (0.230, 2.288, 1.274)
C (-3.108, 1.446, 2.267)
C (5.455, 4.459, -3.984)
C (-1.229, 1.759, -2.719)
C (-0.189, -1.761, -1.595)
C (-3.655, -2.059, 2.987)
C (3.472, 6.584, -1.468)
C (3.995, -1.301, 1.143)
C (-0.493, 3.130, 0.290)
C (-1.766, -3.787, -1.528)
C (-3.540, 0.944, -1.106)
C (-1.530, -2.303, -1.388)
C (-4.934, -0.149, 4.107)
C (-8.053, 2.382, 1.288)
C (-0.163, -4.185, 1.438)
C (-2.602, -1.436, -1.231)
C (0.842, 0.519, 2.483)
C (5.379, 7.848, -2.285)
C (-2.765, -2.138, 1.976)
C (5.012, 5.587, -3.095)
C (-6.346, -0.580, 3.719)
C (1.334, -1.537, 3.841)
C (-7.578, 1.690, 2.559)
C (-3.133, -0.032, 2.365)
C (6.183, 9.115, -2.281)
C (1.581, 1.463, 3.110)
C (0.336, -3.000, 2.185)
C (0.814, -0.907, 2.763)
C (-2.379, -0.005, -1.268)
C (1.056, -0.074, -3.034)
C (-0.133, -0.441, -2.194)
C (-3.992, -1.952, -0.978)
C (0.980, -2.701, -1.772)
C (-1.194, 0.435, -1.994)
C (4.233, 7.740, -1.499)
C (5.742, 6.769, -3.077)
H (0.993, -3.475, -1.008)
H (6.569, 9.322, -1.282)
H (-4.228, 0.609, -0.336)
H (1.074, 0.971, -3.323)
H (-4.546, -1.930, -1.920)
H (1.003, -0.665, -3.953)
H (-3.199, 1.938, -0.820)
H (-1.416, 3.520, 0.724)
H (1.924, -2.169, -1.698)
H (-8.862, 1.820, 0.824)
H (-7.241, 2.484, 0.570)
H (-0.845, -4.360, -1.542)
H (6.619, 6.846, -3.709)
H (-4.111, 1.041, -2.033)
H (4.605, 3.960, -4.453)
H (-4.007, -2.976, -0.618)
H (-1.478, 1.567, -3.765)
H (-0.270, 2.273, -2.705)
H (-7.051, -0.297, 4.501)
H (-0.744, 2.529, -0.576)
H (-8.423, 3.374, 1.536)
H (-4.097, 1.816, 1.997)
H (-0.528, -3.870, 0.469)
H (-4.544, -1.336, -0.271)
H (-2.411, 1.720, 1.484)
H (0.635, -4.915, 1.300)
H (1.836, -1.103, 4.689)
H (-0.969, -4.681, 1.983)
H (3.918, 8.589, -0.903)
H (6.013, 3.705, -3.426)
H (-1.984, 2.436, -2.332)
H (-2.413, -4.197, -0.754)
H (-4.819, 0.932, 4.060)
H (-6.771, 2.237, 3.052)
H (5.565, 9.965, -2.574)
H (0.117, 3.980, -0.012)
H (6.108, 4.831, -4.771)
H (-2.266, -3.961, -2.483)
H (-2.790, 1.903, 3.206)
H (-6.424, -1.661, 3.607)
H (2.002, -0.315, -2.561)
H (2.478, 6.156, 0.398)
H (0.952, -3.192, -2.748)
H (-8.392, 1.538, 3.269)
H (2.282, 1.337, 3.918)
H (-4.739, -0.467, 5.127)
H (7.026, 9.054, -2.966)
~~~
# End of the quantum chemistry results
The Reno Police Department and the FBI are continuing to investigate the disappearance of Brianna Denison and the following information is being provided as part of a request for additional assistance:
Evidence obtained from the scene of Brianna Denison’s disappearance included DNA genetic samples. After analysis by the Washoe County Crime Lab, a positive link has been established between this case and a Kidnap and Sexual Assault case that occurred at a nearby residence on December 16, 2007 @ 2:05 a.m. The victim in the December case was also the victim of a recent (1/19/08) attempted burglary at her residence in the 1400 block of N. Virginia St. On November 13, 2007 shortly after 5:00 p.m., an unknown suspect sexually attacked a UNR student who was walking to her home in the neighborhood. That case is also being investigated as being possibly connected to those already mentioned.
Additionally, detectives have learned of new information relative to these three mentioned cases which is being distributed to the public. This information is relative to a possible suspect vehicle and a suspect description which are as follows:
Suspect vehicle: Extended cab pick-up truck or SUV, dome light above the windshield, tall enough that it requires a step up to gain entry, floor-mounted console that was described as “fairly skinny” that opens in front, blue and red LED read-out on the radio, cloth seats, automatic transmission. There was a baby shoe on the front seat floor board. There were 8 ½” x 11” white pieces of paper with typing on the floor board of the front seat.
Suspect: White male, approximately 28 - 40 years, long face with a square chin, taller than 5’6” but not excessively so, very strong but not with a significantly muscular build, a belly that was described as not excessively large and firm but not flabby, an “innie” belly button, a light covering of hair on his arms, no jewelry or a watch, facial hair about a quarter to a half an inch long below his chin and was soft and not prickly as stubble normally is, unknown if he had a mustache, brown head hair of undetermined style, normal speech with no accent or regional dialect, no smoker’s breath, no alcohol, no bad breath, no cologne or after-shave.
Suspect clothing at the time of the Kidnap/Sexual assault: red (not maroon) short sleeve shirt described as being made of material similar in feel to a Fubu jersey-type shirt (silk/rayon/polyester type) with a medium blue-colored neckline, short printed (possibly embroidered) word on the upper left breast area, another shirt underneath with wrist-length sleeves, unknown color pants – regular length – not jeans. The pants reminded the victim of basketball pants as the material was smooth but they made no noise when he moved and they had an elastic waist band and no zipper.
Update #2: Possible suspect description: White male likely in his 30s, Approx 5'-6" with a long face and square chin.
- Large stomach and an "innie" belly button.
- Shaved hair around his pubic area
- Wears jersey-style shirt and workout pants with an elastic band.
Vehicle: Truck description from previous assault victim:Pickup truck or a sport utility vehicle - White male between the ages of 28 and 40 who may be driving a pickup truck or a sport utility vehicle.
The assault victim also told authorities that the truck used in her December kidnap had a dome light above the windshield, was tall enough to require a step and had a floor-mounted console with a radio featuring red and blue LED lighting. A baby's shoe was on the floor of the vehicle, as were pieces of paper with typing.
24-hour tip line at 775-745-3521.
DNA Ties Teen's Kidnap to Previous Sex Assault
Reno Police Zero In on Suspect Accused in Coed's Abduction, Attack Last Month
Reno police announced the break in the case of the missing student, Brianna Denison, late Sunday and today will begin a more focused search for a suspect described as a white male between the ages of 28 and 40 who may be driving a pickup truck or a sport utility vehicle.
"It is a huge leap for us in the case," police Cmdr. Ron Holladay said today on "Good Morning America." "What we need to do now is find the suspect and match up the DNA."
If you have any information on this case, please call the 24-hour tip line at 775-745-3521.
The same suspect is now wanted by police for a Dec. 16 sexual assault in which he allegedly abducted another young woman outside her house near the University of Nevada-Reno campus and sexually assaulted her.
The victim in the December assault was also the target of an attempted robbery on Jan. 19, the day before Denison vanished as she slept on a couch at a friend's off-campus house.
There is no hard evidence linking the attempted robbery with Denison's disappearance, or the December sexual assault.
For a week, Denison's family and friends have held onto hope that Denison will be returned by her abductor. Lauren Denison, the young woman's aunt, called the announcement about the DNA match "bittersweet."
"We have something we can focus on now without letting our minds run wild," she said on "GMA." "We're in a sense happy, but saddened by what we know this suspect is capable of doing."
Authorities reinterviewed the victim of the December attack after they made the match to DNA left behind in Denison's abduction. They hope that details provided by the victim, who has not been identified, might help them identify and apprehend the suspect.
The assault victim also told authorities that the truck used in her December kidnap had a dome light above the windshield, was tall enough to require a step and had a floor-mounted console with a radio featuring red and blue LED lighting. A baby's shoe was on the floor of the vehicle, as were pieces of paper with typing.
In addition to being a white male likely in his 30s, the suspect was described as about 5 feet 6 inches tall with a long face and square chin. He had a large stomach and an "innie" belly button, according to police. He had shaved the hair around his pubic area and was wearing jersey-style shirt and workout pants with an elastic band.
Source: ABC NewsVideo: